Astrology & Astronomy
The Ancient Marriage Of Astrology And Astronomy

**The page is interrupted by calculated molecules:**
'''
(one)
The following is a DFT calculation (ωB97M-V/def2-TZVPD) of an isolated molecule of C6H9NO.

Atoms and positions in Å:
C  -2.44490  0.05403  -1.63693
C  -1.22686  -0.49999  -1.24029
C  -0.07154  -0.63581  -2.18386
C  -1.10592  -1.05337  0.16445
N  -1.45060  -0.00746  1.16032
C  -0.33130  0.19950  1.95393
C  0.61151  -0.71606  1.60082
O  0.24448  -1.40566  0.49099
H  -3.27171  0.13831  -0.96800
H  -2.66056  0.45698  -2.63860
H  0.82722  -0.19477  -1.74304
H  0.11145  -1.64600  -2.43620
H  -0.29089  -0.09573  -3.10426
H  -1.74730  -1.96506  0.22379
H  -1.92826  0.84982  0.85070
H  -0.26326  0.93371  2.75230
H  1.57409  -0.82367  2.12057

Summary:
gap between HOMO and LUMO = 8.27 eV
lowest unoccupied orbital energy = 0.0372 hartree
structure (SMILES) = C=C(C)[C@@H]1NC=CO1

Atom charges from the Mulliken analysis, given in e for atoms 1 to 2:
1 C -1.234
2 C 0.624

(two)
The following is a DFT calculation (ωB97M-V/def2-TZVPD) of an isolated molecule of C6H9NO.

Atoms and positions in Å:
C  1.49592  0.52238  -0.45520
C  1.13904  -0.92624  0.10095
O  0.87188  -2.40242  -0.35091
C  -0.09863  -1.38724  -0.42675
C  -1.43034  -0.81852  0.22080
C  -0.94797  0.59461  -0.09019
N  -0.63540  2.10488  0.23640
C  0.25235  0.99765  0.38249
H  1.33595  0.46624  -1.47164
H  2.36370  1.12626  -0.04321
H  1.44542  -0.95398  1.18982
H  -0.26016  -0.97277  -1.47169
H  -1.54357  -1.15524  1.21638
H  -2.43792  -1.02720  -0.40362
H  -0.91026  0.85763  -1.17099
H  -1.10300  2.26445  1.06682
H  0.46299  0.70952  1.47054

Summary:
gap between HOMO and LUMO = 10.66 eV
lowest unoccupied orbital energy = 0.0329 hartree
structure (SMILES) = C1[C@@H]2O[C@H]2C[C@H]2N[C@H]12

Atom charges from the Mulliken analysis, given in e for atoms 1 to 2:
1 C -0.552
2 C -0.175

(three)
The following is a DFT calculation (ωB97M-V/def2-TZVPD) of a structure of composition C6H9NO.

Atoms and positions in Å:
C  1.49216  -0.19881  -0.00511
C  0.85427  1.23616  0.10800
C  -0.65285  1.30324  -0.03920
C  -1.15176  -0.14229  -0.18243
C  -0.62440  -1.11086  0.89568
C  0.53334  -1.22738  -0.09017
H  1.35759  1.82080  -0.67926
H  1.26127  1.87275  1.06360
H  -1.04447  1.68592  -1.02580
H  -1.33842  1.70877  0.76530
H  -2.20366  -0.09031  -0.35520
H  -0.59053  -0.90578  1.94985
H  -1.28682  -2.03246  0.77358
H  1.12455  -2.23048  -0.16150
H  -0.03111  -0.46734  -1.85929
N  -0.40576  -0.87898  -1.09001
O  2.70661  -0.34295  -0.06802

Summary:
gap between HOMO and LUMO = 9.88 eV
lowest unoccupied orbital energy = 0.0339 hartree

Atom charges from the Mulliken analysis, given in e for atoms 1 to 2:
1 C 0.229
2 C -0.534

(four)
The following is a DFT calculation (ωB97M-V/def2-TZVPD) of an isolated molecule of C6H9NO.

Atoms and positions in Å:
C  -2.22587  -0.33719  0.70392
'''

Astronomy, put simply, is the study of the physical, celestial objects beyond the earth’s atmosphere from a scientific point of view. Astrology, on the other hands, is how these celestial objects affect us here on earth in a symbolic, archetypal sense.
Makes sense to marry the two, right? Right.
We just can’t look at the stars a planet in their physicality without adding the spiritual and the unseen. That would be like saying we are humans without a soul!
Get it?
At one stage in the world, Astrologers were also physicians, mathematicians and advisors – it was at that time that Galileo and Kepler were celebrated as the wisest and most learned guys out there.
And in that time, Astronomy was secondary to Astrology – a servant, so to speak.
The Glory of Astrology – Back In The Day
As we can see, back in the day, it was unheard of not to have both Astrology and Astronomy sit on the same throne. King and Queen just didn’t go without their trusty sky-gazers and they were held amongst the highest in the courts of old.

Here the text breaks off for records of molecules.
'''
Computed, not measured: C34H41F4N6O2PdSSi2 as an isolated structure, with ωB97M-V/def2-TZVPD.

Geometry as XYZ:
```
91
Properties=species:S:1:pos:R:3:forces:R:3:lowdin_charge:R:1
Pd 0.32333 1.51760 -0.68891 0.7 0.3 -0.6 0.913
C 2.72245 2.22963 1.68653 -0.6 0.2 0.1 -0.171
Si 1.07836 3.17514 1.96248 0.0 0.2 -0.2 0.552
C -0.07917 2.31175 3.20465 0.5 0.3 -0.5 -0.177
C 1.45859 4.95994 2.52370 -0.1 -0.8 -0.1 -0.158
C 0.20282 3.35772 0.26208 -0.8 -0.6 0.7 -0.398
C 1.17485 3.76754 -0.73267 0.8 0.9 -0.2 -0.419
C 1.46129 5.03114 -1.25171 0.0 -0.1 -0.1 -0.004
C 2.49503 5.15339 -2.15847 0.0 -0.2 0.1 -0.029
C 3.19749 4.01693 -2.55528 -0.1 -0.1 0.1 -0.041
C 2.82669 2.78742 -2.04437 0.3 0.1 -0.3 -0.094
N 1.85599 2.67640 -1.14191 0.4 0.9 -0.1 -0.048
Si -1.59219 3.96825 -0.03310 0.1 0.1 -0.2 0.541
C -1.80293 3.80527 -1.93898 0.0 -0.1 0.7 -0.170
C -1.83913 5.78138 0.50936 0.1 -0.7 -0.2 -0.169
C -2.85502 2.92269 0.95354 0.5 0.3 -0.3 -0.177
H 3.20361 1.99020 2.62875 0.1 0.0 0.3 0.026
H 3.43591 2.81387 1.11085 0.0 0.2 -0.1 0.032
H 2.53822 1.30069 1.14672 0.0 0.0 0.1 -0.014
H 0.49040 1.83141 3.99293 0.2 -0.1 0.2 0.021
H -0.68687 1.55280 2.72443 -0.1 -0.1 -0.1 -0.017
H -0.74000 3.02730 3.68171 -0.2 0.2 0.0 0.035
H 1.98009 4.95712 3.47465 0.1 0.0 0.2 0.029
H 0.54692 5.53327 2.65603 -0.2 0.1 0.0 0.019
H 2.08461 5.48709 1.80982 0.1 0.0 -0.2 0.027
H 0.88176 5.88368 -0.93594 0.0 0.1 0.1 0.111
H 2.76712 6.12244 -2.55115 0.0 0.1 0.0 0.117
H 4.01399 4.08661 -3.25551 0.1 0.0 0.0 0.109
H 3.34549 1.88209 -2.33724 -0.1 0.0 0.0 0.117
H -1.29151 4.61107 -2.46241 0.1 0.1 0.0 0.028
H -2.84891 3.85532 -2.22628 -0.2 0.1 0.0 0.027
H -1.40600 2.85550 -2.32128 -0.1 0.2 0.1 0.006
H -1.14217 6.47915 0.06096 0.2 0.1 -0.1 0.016
H -1.76483 5.88441 1.58727 0.0 0.0 0.2 0.022
H -2.83769 6.09941 0.22560 -0.2 0.1 -0.1 0.032
H -2.44420 1.98274 1.30610 0.1 -0.1 0.0 -0.009
H -3.71754 2.69049 0.33665 -0.2 0.0 -0.2 0.026
H -3.21694 3.47395 1.81532 0.0 0.2 0.2 0.030
O 0.51899 0.23471 -2.53165 -0.1 -0.2 0.2 -0.059
C 1.08782 -0.87647 -2.50408 0.2 0.5 0.3 -0.448
C 2.08650 -1.15866 -1.41405 0.2 0.0 0.0 -0.113
C 3.21076 -2.13268 -1.74820 -0.1 -0.1 0.1 -0.174
C 2.77786 -3.59357 -1.63399 -0.1 0.1 -0.1 -0.188
C 1.40920 -3.85046 -2.26602 0.2 -0.1 -0.2 -0.174
C 1.23025 -3.14480 -3.60825 0.2 -0.3 0.2 -0.153
N 0.79516 -1.76491 -3.44697 -0.4 -0.1 -0.6 0.104
H 1.51448 -1.50721 -0.54770 0.1 0.2 0.0 0.092
H 2.50306 -0.17823 -1.13213 -0.3 -0.3 0.0 0.106
H 4.03676 -1.95609 -1.05808 0.1 0.1 -0.1 0.117
H 3.57827 -1.92535 -2.75422 0.1 0.0 0.0 0.117
H 2.72960 -3.88177 -0.58104 0.1 0.0 0.0 0.101
H 3.52966 -4.22308 -2.11320 0.0 -0.1 0.1 0.117
H 0.61484 -3.51426 -1.59874 -0.1 -0.1 0.0 0.092
H 1.28821 -4.92401 -2.41008 -0.1 0.0 0.0 0.117
H 0.45384 -3.65283 -4.18609 0.1 0.1 0.0 0.126
H 2.15678 -3.18643 -4.19227 -0.1 -0.1 0.0 0.128
H 0.12919 -1.43390 -4.13418 0.1 0.1 0.1 0.158
O 0.75361 -0.27757 1.06487 -0.2 -0.3 0.3 -0.628
S 0.61782 -0.86137 2.44040 1.0 -0.7 -0.1 0.977
C 2.35225 -1.00311 3.06663 -0.5 -0.1 0.3 -0.297
'''

In ancient Babylon, it was the sky watchers that learnt to track the movements of the planets amongst the fixed stars, and to note the correlating events here on Earth. In fact, these ancient people were the ones that initially developed Astronomy along with Astrology as one marriage.
Later, the ancient Arabs adopted Astrology, Astronomy and Mathematics and blended these brainy arts into one, of which many methods that were birthed are still used today.
So, what went wrong? Why did they ever get separated - and what’s the deal with modern Astronomers hating Astrologers?
Who’s To Blame?
Sadly, modern science disagreed. Astrology, for most, has been relegated to a pseudoscience at best, and hocus-pocus at worst. However, it was only up until the latter stages of the scientific revolution that Astrology was separated from Astronomy.
The Age of Reason, in other words, destroyed this once -revered and ancient blend. Most scientists that you speak to are likely to either laugh in the face of astrology, or dismiss the community as wishy-washy and airy-fairy.
However, the Age of Reason wasn’t the only instigator. As you may have already guessed, the Church had a part to play in the tragic separation. Because Astrology became known as “too deterministic” (in other words, too powerful) and seemed to be something that people trusted in beyond the authority of the Church, the Church decided to change the narrative.
It was put out that Astrology was no deterministic in any way, but only indicative and that we, as human beings, had total free will in changing the future. And for some, this sits well and feels comfortable, and perhaps was a needed change. But it got taken too far, and these days, there really is a lot of wishy-washy stuff out there that nobody respects, astrologically speaking.
The truth is, though, that we cannot separate the two.
Science cannot explain everything. neither can religion.
However, the final nail in the coffin was the shift in philosophies. Aristotle’s “As Above, so Below” had been the guiding philosophy for many years, birthing incredible results. However, as modern philosophy took hold, the micro-macrocosm theory was thrown out and replaced with reason.
And that, friends, led to the decline and separation of the once-celebrated mirrors of the same coin. However, today Astrology is once again on the rise, as science has realised that not everything can be explained.
The efforts of ancient astrologers, in the medical Astrology field, in astro-meteorology (the study of weather) and mundane (political and world) Astrology, has slowly helped to give Astrology back some of the gravitas and respect that it deserves.
The problem today, really lies with the collection of ungrounded, uneducated folks practicing Astrology willy-nilly, which can lead to a loss of respect for the field.
The Tropical & Sidereal Zodiac
Now, time to throw a spanner in the works. Anyone worth their salt when it comes to the real stuff of Astrology knows that here are two zodiacs we follow in this world.
The Tropical and the Sidereal.

Sidereal Astrology is practiced in the east and is still used today. This is the Astrology of the Stars, which uses the actual, physical constellations as the backdrop for the movement of the Sun, thus allowing for interpretation and predication.
But, did you know that western Astrology doesn’t use the stars?
That’s right – western Astrology – tropical Astrology – uses the Suns’ seasons as a backdrop for the movement of the Sun.
This makes more sense for the philosophy of Aristotle, as his adage “As Above, so Below” can be more neatly applied, seeing as we on earth live, grow and die by the seasons. All life is governed by the seasons and the elements, so it makes more sense to use this method.
The Astrology of the stars – the sidereal zodiac – tends to make sense when we use it for far -reaching topics such as the Soul, Karma and other dense topics.
It’s kind of like Astrology for the soul, and Astrology for the human. And both go hand in hand. Like astrology and astronomy.
Thus, Astronomy and Astrology have no war, no clash, no tension. Sidereal Astrology is so detailed and so ancient that even astronomers would be hard-pressed to find fault – at least technically.
This also removes the issue of a “13th sign”. Using the tropical system, we no longer rely on the stars or worry about their shifting every few hundred years. The sidereal astrologers take the shifting of the celestial heavens (called the precession of the equinoxes) into account for all their workings-out.
Pretty neat, right?
There’s Hope

• Here the article breaks off for calculated molecules:
/*
(1)
45
Properties=species:S:1:pos:R:3:forces:R:3 method="wB97M-V/def2-TZVPD" total_charge=0 largest_force_ev_per_a=13.019 multiplicity=1 homo_energy_ev=-6.4 smiles="COc1ccc2c(CC(=O)OCC(=O)NC(=O)c3cccn3C)coc2c1" de_lowest_kj_mol=1515.57 homo_lumo_gap_ev=6.70
H -1.380149 -2.422432 -0.242822 -1.1 1.3 0.1
H 3.823157 2.062457 5.794582 2.0 -0.3 5.1
O -0.308020 0.274397 -1.368628 4.5 5.0 -1.8
C 3.418216 3.504765 4.297645 -0.7 -3.6 -4.3
C 1.952722 0.560829 1.911613 -1.8 10.2 -4.4
C -3.287017 -2.621552 -6.252413 3.5 5.5 -1.3
H -3.196653 -2.491138 -7.251867 0.1 -0.2 -3.1
H 1.182266 1.316436 -0.187785 -1.9 -0.1 -4.0
C 0.669811 -1.229754 0.652152 3.3 0.8 6.3
C -1.495522 -1.297171 -0.061613 2.3 -4.2 -3.8
C 2.403264 2.838873 2.388163 -2.0 -3.5 -2.1
H -1.621219 -0.582827 -3.323114 -0.3 -0.4 -0.2
C -4.901748 -4.035320 -3.414030 -2.0 5.1 -3.0
H -5.619824 -4.428691 -4.071020 -1.2 -1.5 -0.1
C -0.957014 -0.647337 -1.486460 -8.1 -6.0 4.4
H 2.381661 -1.300985 1.800278 2.1 -2.4 0.3
C 3.897287 5.790518 4.785084 1.6 -4.1 -4.5
H 2.929692 4.878506 2.738839 -0.1 1.9 -1.0
H -2.434229 -1.036600 0.349377 -1.0 0.5 -0.1
C -3.145412 -2.392958 -4.122764 2.7 5.8 2.1
C 3.533475 2.173818 4.876250 -3.2 -0.7 -7.5
C 3.038423 1.101308 4.112998 -1.5 1.6 2.3
O -3.046770 -2.768927 -1.727936 -2.8 -2.9 4.4
O 1.040599 -2.017738 -0.092772 3.6 -3.7 -5.3
H 0.987088 -1.018085 3.067234 1.3 0.4 -3.2
C 2.319045 1.609647 2.927225 1.9 -8.6 1.0
C -2.581703 -1.717468 -5.396235 -3.0 -5.6 4.3
H -1.642320 -1.244383 -5.493784 0.6 0.6 -0.2
N -1.763437 -1.164317 -2.498254 2.4 4.1 -2.2
O 3.889845 4.286739 5.143817 1.4 8.2 3.2
N -4.197096 -3.166378 -4.403077 1.8 -0.2 6.7
C 1.606662 1.589280 0.657791 2.9 -7.6 10.2
C -2.845053 -1.991072 -2.555732 2.6 -1.1 -6.5
H -5.346633 -3.238925 -2.848422 -0.9 -0.3 1.0
O -0.532587 -1.064703 0.830727 -5.0 4.9 4.5
H 2.948738 0.023455 4.707174 0.2 2.8 -2.4
H -4.353512 -4.603864 -2.806934 2.4 -2.5 1.7
C 3.032660 3.872292 2.917665 1.6 0.0 6.0
H 4.723352 5.882758 3.956429 -2.0 -0.3 0.8
O 1.832032 2.699392 1.199323 0.5 7.4 -2.9
C -4.279176 -3.177593 -5.643552 -4.5 -5.2 -6.2
H 4.369398 6.273598 5.489978 2.1 2.0 4.6
H -4.949602 -3.843742 -6.202138 -0.1 0.2 0.6
C 1.532440 -0.755520 1.963328 -3.6 -2.6 1.0
H 2.997645 6.324410 4.553386 -0.9 -0.6 -0.3

(2)
49
Properties=species:S:1:pos:R:3:forces:R:3 method="wB97M-V/def2-TZVPD" total_charge=0 largest_force_ev_per_a=1.020 multiplicity=1 homo_energy_ev=-8.2 smiles="COc1ccc2nc(NC(=O)CCNS(=O)(=O)c3ccc4c(c3)oc(=O)n4C)sc2c1" de_lowest_kj_mol=28.10 homo_lumo_gap_ev=8.60
H -4.642520 -1.785652 1.257155 -0.2 -0.3 -0.1
C -4.348296 1.445669 0.303911 -0.1 0.3 0.5
C -1.026433 -1.234499 -1.831852 -0.2 0.0 -0.1
C 0.022086 1.529375 0.597003 0.7 0.1 -0.6
C 0.340529 -1.176304 -2.052667 0.2 -0.2 0.3
N 2.520269 -1.538363 -0.831554 -0.2 -0.2 0.3
C 2.809537 -1.884464 0.469328 0.7 0.2 -0.4
H -1.723542 -0.962618 -2.607976 0.0 0.1 -0.2
H 3.503639 -0.242943 -2.142744 0.0 0.0 0.0
O 1.639047 -2.118717 1.126108 -0.1 -0.2 0.4
C -0.741007 -1.991694 0.461007 0.6 -0.1 0.2
*/

Any astrologer always checks the heavens to see the alignment and movements of the planets. We then apply those movements to events here n earth personal or world-wide.
Hopefully, astronomers will soon catch up, too. And that time seems too far from now.